Marcy Wheeler

Marcy Wheeler is an independent journalist covering national security and civil liberties.


The Republican Russia Investigation Circus Keeps Getting Weirder

Calculated crystals, as found in the file >
<<<
{
  "formula": "CaGdCu",
  "functional": "PBE",
  "state": "optimized geometry",
  "formation_enthalpy_0k_mev_per_atom": -68,
  "space_group": "I4mm, No. 107",
  "lattice": [[-1.773, 1.773, 6.467], [1.773, -1.773, 6.467], [1.773, 1.773, -6.467]],
  "species": ["Ca", "Gd", "Cu"],
  "frac_coords": [[0.000, 0.000, 0.000], [0.267, 0.267, 0.000], [0.646, 0.646, 0.000]]
}

=====

{
  "formula": "CuGe2Br2",
  "functional": "PBE",
  "state": "optimized geometry",
  "de_polymorph_kj_per_mol_atoms": 0.0,
  "space_group": "I4/mmm, No. 139",
  "formation_energy_uncorrected_ev_per_atom": 0.246,
  "lattice": [[-1.846, 1.846, 8.567], [1.846, -1.846, 8.567], [1.846, 1.846, -8.567]],
  "species": ["Cu", "Ge", "Ge", "Br", "Br"],
  "frac_coords": [[0.000, 0.000, 0.000], [0.250, 0.750, 0.500], [0.750, 0.250, 0.500], [0.405, 0.405, 0.000], [0.595, 0.595, 0.000]]
}

=====

{
  "formula": "Pm5YSn4",
  "functional": "PBE",
  "state": "optimized geometry",
  "formation_enthalpy_0k_mev_per_atom": -560,
  "space_group": "C2/m, No. 12",
  "lattice": [[8.227, -2.696, 0.000], [8.227, 2.696, 0.000], [-0.059, 0.000, 7.258]],
  "species": ["Pm", "Pm", "Pm", "Pm", "Pm", "Y", "Sn", "Sn", "Sn", "Sn"],
  "frac_coords": [[0.000, 0.000, 0.000], [0.333, 0.333, 0.493], [0.334, 0.334, 0.004], [0.666, 0.666, 0.996], [0.667, 0.667, 0.507], [0.000, 0.000, 0.500], [0.174, 0.174, 0.749], [0.492, 0.492, 0.744], [0.508, 0.508, 0.256], [0.826, 0.826, 0.251]]
}

=====

{
  "formula": "Ca2AsHPt",
  "functional": "PBE",
  "state": "optimized geometry",
  "total_energy_ev_per_fu": -22.2,
  "space_group": "P4/mmm, No. 123",
  "lattice": [[5.109, 0.000, 0.000], [0.000, 5.109, 0.000], [0.000, 0.000, 3.601]],
  "species": ["Ca", "Ca", "As", "H", "Pt"],
  "frac_coords": [[0.000, 0.500, 0.000], [0.500, 0.000, 0.000], [0.000, 0.000, 0.500], [0.500, 0.500, 0.000], [0.500, 0.500, 0.500]]
}

=====

{
  "formula": "CsSbP",
  "functional": "PBE",
  "state": "optimized geometry",
  "de_polymorph_kj_per_mol_atoms": 3.7,
  "space_group": "P1, No. 1",
  "formation_energy_uncorrected_ev_per_atom": -0.266,
  "lattice": [[6.386, 0.000, 0.000], [-0.005, 7.209, 0.000], [-3.142, -2.326, 6.449]],
  "species": ["Cs", "Cs", "Sb", "Sb", "P", "P"],
  "frac_coords": [[0.000, 0.000, 0.000], [0.232, 0.618, 0.448], [0.166, 0.454, 0.874], [0.712, 0.454, 0.876], [0.130, 0.154, 0.585], [0.464, 0.155, 0.586]]
}

=====

{
  "formula": "Tm12As3C5",
  "functional": "PBE",
  "state": "optimized geometry",
  "formation_enthalpy_0k_mev_per_atom": -510,
  "space_group": "Ia-3d, No. 230",
  "lattice": [[-7.588, 7.588, 7.588], [7.588, -7.588, 7.588], [7.588, 7.588, -7.588]],
>>>

Somehow, a former Trump lackey's unhinged TV appearances were just a preamble to Republicans in the House deciding the whole thing was a sham.
Marcy Wheeler
Views My Own

Was the Trump Campaign Full of Spies or Just Idiots?

Somehow, the strange saga of competing Russia memos has mostly served to make the president's campaign look shadier than ever.
Marcy Wheeler
the memo

All the Key Details Republicans Left Out of Their Famous Memo

A flimsy and much-hyped document that was supposed to blow up the Russia investigation raises more questions about Republicans than the FBI.
Marcy Wheeler
State of Surveillance

FISA Court's Secrecy Threatens to Subsume Our Open Court System

Keith Gartenlaub seemed like he'd be the first person to challenge secret FISA court surveillance. Then an appeals court had a secret meeting with the government's lawyers.
Marcy Wheeler
State of Surveillance

The NSA's 12-Year Struggle to Follow the Law

A change requested by the Trump administration will allow the NSA to keep information it acquired illegally.
Marcy Wheeler

Why I Have Decided to Hoard the iPhone 6S

The iPhone 6S is the Skoda of smartphones and I'm going to buy at least four of them.
Marcy Wheeler

Why Is the FBI Really Going After the Researcher Who Stopped WannaCry?

An attempt to connect the dots between the FBI's surveillance tools, WannaCry, Marcus Hutchins, and Kronos.
Marcy Wheeler
State of Surveillance

The NSA Has Done Little to Prevent the Next Edward Snowden

Here the entry breaks off for materials data:
- - -
[1]
This record from Alexandria via LeMat-Bulk describes a geometry-optimized TaGaRh4 structure. The functional is PBE.

Structure (CIF):
```
data_TaGaRh4
_symmetry_space_group_name_H-M 'P 4/m m m'
_symmetry_Int_Tables_number 123
_symmetry_space_group_name_Hall '-P 4 2'
_cell_length_a 4.149
_cell_length_b 4.149
_cell_length_c 5.925
_cell_angle_alpha 90.00
_cell_angle_beta 90.00
_cell_angle_gamma 90.00
loop_
_atom_site_label
_atom_site_fract_x
_atom_site_fract_y
_atom_site_fract_z
Ta1 0.000 0.000 0.000
Ga1 0.500 0.500 0.500
Rh1 0.000 0.500 0.255
```

Computed properties:
calculated formation energy	-0.2478	eV/atom
total moment	0.0	μB per cell


[2]
This record from Alexandria via LeMat-Bulk describes a geometry-optimized Ta2GaRh6 structure. The functional is PBE.

Structure (CIF):
```
data_Ta2GaRh6
_symmetry_space_group_name_H-M 'I m m m'
_symmetry_Int_Tables_number 71
_symmetry_space_group_name_Hall '-I 2 2'
_cell_length_a 4.199
_cell_length_b 5.967
_cell_length_c 12.410
_cell_angle_alpha 90.00
_cell_angle_beta 90.00
_cell_angle_gamma 90.00
loop_
_atom_site_label
_atom_site_fract_x
_atom_site_fract_y
_atom_site_fract_z
Ta1 0.000 0.000 0.162
Ga1 0.000 0.000 0.500
Rh1 0.000 0.247 0.334
Rh2 0.000 0.261 0.000
```

Computed properties:
calculated formation energy	-0.2711	eV/atom
total moment	0.0	μB per cell


[3]
This record from Alexandria via LeMat-Bulk describes a geometry-optimized TaGaRh3 structure. The functional is PBE.

Structure (CIF):
```
data_TaGaRh3
_symmetry_space_group_name_H-M 'P m -3 m'
_symmetry_Int_Tables_number 221
_symmetry_space_group_name_Hall '-P 4 2 3'
_cell_length_a 4.738
_cell_length_b 4.738
_cell_length_c 4.738
_cell_angle_alpha 90.00
_cell_angle_beta 90.00
_cell_angle_gamma 90.00
loop_
_atom_site_label
_atom_site_fract_x
_atom_site_fract_y
_atom_site_fract_z
Ta1 0.000 0.000 0.000
Ga1 0.500 0.500 0.500
Rh1 0.000 0.000 0.500
```

Computed properties:
calculated formation energy	0.8202	eV/atom
total moment	0.0	μB per cell


[4]
This record from Alexandria via LeMat-Bulk describes a geometry-optimized TaGa3Rh4 structure. The functional is PBE.

Structure (CIF):
```
data_TaGa3Rh4
_symmetry_space_group_name_H-M 'P m m a'
_symmetry_Int_Tables_number 51
_symmetry_space_group_name_Hall '-P 2a 2a'
_cell_length_a 8.905
_cell_length_b 5.843
_cell_length_c 4.502
_cell_angle_alpha 90.00
_cell_angle_beta 90.00
_cell_angle_gamma 90.00
loop_
_atom_site_label
_atom_site_fract_x
_atom_site_fract_y
_atom_site_fract_z
Ta1 0.000 0.000 0.000
Ga1 0.000 0.500 0.000
Ga2 0.250 0.000 0.448
Ga3 0.250 0.500 0.446
Rh1 0.000 0.253 0.500
Rh2 0.250 0.256 0.937
```

Computed properties:
calculated formation energy	-0.6401	eV/atom
total moment	0.0	μB per cell


[5]
This record from Alexandria via LeMat-Bulk describes a geometry-optimized TaGa2Rh2 structure. The functional is PBE.

Structure (CIF):
```
data_TaGa2Rh2
_symmetry_space_group_name_H-M 'P 4/m b m'
_symmetry_Int_Tables_number 127
_symmetry_space_group_name_Hall '-P 4 2ab'
_cell_length_a 7.286
- - -
The materials data stop here:

Maybe this is why there are a bunch of alleged NSA hacking tools floating around the internet.
Marcy Wheeler
State of Surveillance

Would You Trust These Men With a Massive Surveillance Dragnet?

America's top intelligence officials had a shady day in Congress.
Marcy Wheeler

Why the Latest Leak Linking Trump to Russia Is So Shocking

A Trump foreign policy advisor was spied on by the feds last summer, and even though he hasn't been charged, everyone knows his name.
Marcy Wheeler
Views My Own

The Republican Hypocrisy on Surveillance, Leaks, and Snowden

Congressman Devin Nunes is apparently fine with revealing classified information as long as it helps Donald Trump.
Marcy Wheeler

Snowden Emails Reveal the NSA Used Notoriously Insecure Microsoft Word Macros

### Records of crystals, kept here for reference
Record 1
Material: Ca2NdZn2
Method: DFT, PBE
State: optimized geometry

Results
Energy above the most stable polymorph in this dataset, eV/atom: 0.061
ρ, g/cm3: 3.858
Magnetic moment, μB/atom: 0.000
Total DFT energy (no corrections), eV per atom: -2.38
Formation enthalpy at 0 K, kJ/mol of formula units: -56.9

The structure in POSCAR format:
```
Ca2NdZn2
1.0
-2.5982 -3.9155 -0.5003
1.6935 -0.4057 -5.6197
7.0901 -5.7437 8.1305
Ca Nd Zn
4 2 4
Direct
0.2500 0.7635 0.8754
0.7500 0.2365 0.1246
0.2500 0.2947 0.5440
0.7500 0.7053 0.4560
0.2500 0.8073 0.2101
0.7500 0.1927 0.7899
0.2500 0.8945 0.6512
0.7500 0.1055 0.3488
0.2500 0.3454 0.9687
0.7500 0.6546 0.0313
```


Record 2
Material: CaNd2Zn3
Method: DFT, PBE
State: optimized geometry

Results
Energy above the most stable polymorph in this dataset, eV/atom: 0.000
ρ, g/cm3: 5.843
Magnetic moment, μB/atom: 0.000
Total DFT energy (no corrections), eV per atom: -2.86
Formation enthalpy at 0 K, kJ/mol of formula units: -175.7

The structure in POSCAR format:
```
CaNd2Zn3
1.0
-1.4064 -2.5926 -4.2861
3.6358 -1.9709 3.1570
-9.0266 -6.0478 6.6201
Ca Nd Zn
2 4 6
Direct
0.3333 0.6667 0.6673
0.6667 0.3333 0.3327
0.0000 0.0000 0.5000
0.3333 0.6667 0.1717
0.6667 0.3333 0.8283
0.0000 0.0000 0.0000
0.3333 0.6667 0.4168
0.6667 0.3333 0.0818
0.0000 0.0000 0.7497
0.0000 0.0000 0.2503
0.3333 0.6667 0.9182
0.6667 0.3333 0.5832
```


Record 3
Material: Ca2NdZn2
Method: DFT, PBE
State: optimized geometry

Results
Energy above the most stable polymorph in this dataset, eV/atom: 0.000
ρ, g/cm3: 4.220
Magnetic moment, μB/atom: 0.000
Total DFT energy (no corrections), eV per atom: -2.44
Formation enthalpy at 0 K, kJ/mol of formula units: -86.3

The structure in POSCAR format:
```
Ca2NdZn2
1.0
-2.4615 1.1185 -2.5443
-2.1055 -4.8539 -0.0968
-7.7881 3.1464 11.6337
Ca Nd Zn
4 2 4
Direct
0.0433 0.7500 0.0868
0.9567 0.2500 0.9132
0.2222 0.7500 0.4446
0.7778 0.2500 0.5554
0.8631 0.7500 0.7269
0.1369 0.2500 0.2731
0.6317 0.7500 0.2637
0.3683 0.2500 0.7363
0.4497 0.7500 0.8989
0.5503 0.2500 0.1011
```


Record 4
Material: CaNd5Zn3
Method: DFT, PBE
State: optimized geometry

Results
ρ, g/cm3: 6.266
Magnetic moment, μB/atom: 0.000
Total DFT energy (no corrections), eV per atom: -3.43
Formation enthalpy at 0 K, kJ/mol of formula units: -118.7

The structure in POSCAR format:
```
CaNd5Zn3
1.0
-3.3139 -2.5309 5.5849
-0.3913 -8.2548 -3.9731
7.1731 2.2200 5.2623
Ca Nd Zn
2 10 6
Direct
0.0000 0.0000 0.0000
0.5000 0.0000 0.0000
0.0000 0.6666 0.3333
0.5000 0.3334 0.6667
0.0000 0.3334 0.6667
0.5000 0.6666 0.3333
0.7500 0.6682 0.6682
0.7500 0.0000 0.3318
0.7500 0.3318 0.0000
0.2500 0.3318 0.3318
0.2500 0.0000 0.6682
0.2500 0.6682 0.0000
0.7500 0.3338 0.3338
0.7500 0.0000 0.6662
0.7500 0.6661 0.0000
0.2500 0.6662 0.6662
0.2500 0.0000 0.3338
0.2500 0.3339 0.0000
```


Record 5
Material: Ca4NdZn5
Method: DFT, PBE
State: optimized geometry

Results
ρ, g/cm3: 4.202
Magnetic moment, μB/atom: 0.014
Total DFT energy (no corrections), eV per atom: -2.16
### The piece goes on

By relying on macros to help process sensitive surveillance risk assessments, NSA opened itself up to hacking.
Marcy Wheeler